_Given_
____________
[1]
Entry from the Open Molecules 2025 dataset: C6H4Cl2F12NaO12S4 as an isolated structure in a non-equilibrium geometry (ωB97M-V/def2-TZVPD).

Each line ends with the Mulliken charge.
Positions of all 41 atoms, in Å:
Na -10.691 18.577 -22.888  0.986
C -17.081 20.323 -23.869  0.501
F -18.035 19.987 -24.766  -0.219
F -16.372 21.398 -24.329  -0.228
F -17.656 20.661 -22.672  -0.230
S -15.952 18.741 -23.643  1.112
O -16.605 17.884 -22.640  -0.654
O -15.931 18.036 -24.943  -0.645
O -14.648 19.230 -23.245  -0.633
C -12.278 11.601 -23.445  0.520
F -13.294 10.759 -23.196  -0.232
F -11.459 11.500 -22.409  -0.232
F -11.645 11.238 -24.552  -0.217
S -12.990 13.405 -23.507  1.137
O -11.898 14.354 -23.362  -0.651
O -13.672 13.519 -24.817  -0.657
O -13.935 13.557 -22.367  -0.665
C -9.836 15.640 -28.686  0.577
F -8.582 15.941 -28.630  -0.232
F -10.166 15.171 -29.873  -0.230
F -10.015 14.627 -27.789  -0.232
S -11.034 17.095 -28.320  1.060
O -10.868 18.032 -29.408  -0.662
O -12.345 16.410 -28.280  -0.619
O -10.594 17.622 -26.976  -0.659
C -12.092 18.949 -16.612  0.563
F -12.378 20.100 -17.294  -0.241
F -10.917 19.032 -16.042  -0.223
F -13.027 18.776 -15.704  -0.227
S -12.222 17.373 -17.806  1.070
O -13.668 17.255 -18.120  -0.630
O -11.453 17.718 -19.005  -0.644
O -11.665 16.237 -17.030  -0.665
Cl -13.708 24.521 -27.526  -0.211
C -12.482 24.233 -26.307  -0.404
C -11.990 22.729 -26.393  -0.426
Cl -10.848 22.531 -25.033  -0.237
H -12.924 24.462 -25.337  0.311
H -11.644 24.904 -26.492  0.310
H -11.437 22.423 -27.281  0.328
H -12.801 22.019 -26.230  0.328

## Properties
Frontier orbital gap in eV: 5.212
Charge: -3
Molecular weight in Da: 718.23
HOMO energy in eV: -1.22

[2]
Entry from the Open Molecules 2025 dataset: C15H35CaN2O4P3 as an isolated structure in a non-equilibrium geometry (ωB97M-V/def2-TZVPD).

Each line ends with the Mulliken charge.
Positions of all 60 atoms, in Å:
Ca -0.830 0.682 0.653  0.757
P -3.080 -1.098 -0.275  -0.044
P 0.686 2.102 2.921  -0.055
N -1.117 0.707 -1.712  -0.073
N 0.902 1.981 -0.187  0.789
H 0.027 1.337 -3.397  0.413
H 2.029 1.959 -2.006  0.389
H 0.793 0.053 -2.407  0.218
C 0.164 0.975 -2.362  -0.798
H 0.625 3.011 -2.033  0.409
C 0.988 2.042 -1.651  -0.977
H -1.433 -0.736 -3.190  0.209
H 2.358 3.504 -0.153  0.366
C -1.998 0.082 -2.670  -0.826
C 1.681 2.859 0.440  -0.473
H -3.493 -1.566 -2.554  0.502
C -3.255 -0.609 -2.074  -0.796
H -4.118 0.060 -2.123  0.380
H -0.008 3.237 3.448  0.085
H 1.664 1.983 3.963  0.127
H -4.302 -0.530 0.220  0.063
H -3.676 -2.377 -0.460  0.111
O -2.471 2.120 1.603  -0.846
C -2.968 2.956 0.787  0.949
C -4.341 2.821 0.196  -1.018
C -2.202 4.147 0.303  -0.871
H -2.280 0.638 -3.590  0.362
H -4.558 1.775 -0.028  0.105
H -5.083 3.181 0.899  0.382
H -4.433 3.434 -0.720  0.353
H -1.130 3.914 0.261  0.051
H -2.575 4.452 -0.679  0.382
H -2.363 4.985 0.989  0.369
C 1.730 3.055 1.823  -0.583
H 2.408 3.837 2.172  0.415
C 4.534 -0.117 1.922  -1.033
C 4.159 -0.717 0.589  -0.215
O 3.050 -1.646 0.755  -0.274
P 1.655 -1.513 -0.126  0.478
O 0.545 -1.556 1.150  -0.102
C 0.449 -2.635 2.162  -0.305
C 1.566 -3.639 2.180  -1.100
O 1.451 -3.006 -0.758  -0.311
C 0.197 -3.708 -0.985  0.268
C 0.095 -4.101 -2.440  -1.399
H 3.739 0.534 2.297  0.115
H 5.434 0.491 1.814  0.411
H 4.738 -0.888 2.669  0.313
H 3.886 0.088 -0.111  0.224
H 5.012 -1.262 0.162  0.303
H 0.410 -2.120 3.127  0.387
H -0.505 -3.146 1.986  0.270
H 2.526 -3.199 2.451  0.206
H 1.329 -4.380 2.951  0.407
H 1.673 -4.185 1.242  0.276
H 0.198 -4.594 -0.335  0.312
H -0.658 -3.074 -0.697  -0.082
H 0.970 -4.675 -2.756  0.356
H -0.800 -4.716 -2.574  0.410
H 0.006 -3.213 -3.078  0.262

## Properties
2S+1: 2
Frontier orbital gap (alpha / beta) in eV: 7.092 / 4.528
Charge: +1
Molecular weight in Da: 440.45
HOMO energy (alpha / beta) in eV: -9.63 / -9.37

[3]
Entry from the Open Molecules 2025 dataset: one molecule with the formula C15H18N6O3S in a non-equilibrium geometry (ωB97M-V/def2-TZVPD).

Each line ends with the Mulliken charge.
____________
_Job_
Could you search the data further up for the word "beta" and retype each line that has it?
_Result_
Frontier orbital gap (alpha / beta) in eV: 7.092 / 4.528
HOMO energy (alpha / beta) in eV: -9.63 / -9.37